Activity:
Filter the data further below: keep the lines with the word "DFT".
Source:
-- begin --
Na3Zr2Al2P5SO24: relaxed, PBE-GGA.

Cell: 8.716 8.688 22.418 Å, 90.13 89.87 120.18°
Fractional positions:
O (0.849, 0.554, 0.028)
O (0.498, 0.850, 0.360)
O (0.303, 0.480, 0.758)
O (0.983, 0.163, 0.593)
O (0.164, 0.478, 0.974)
O (0.831, 0.822, 0.592)
O (0.520, 0.822, 0.758)
O (0.628, 0.112, 0.138)
O (0.464, 0.151, 0.244)
O (0.356, 0.491, 0.362)
O (0.630, 0.517, 0.637)
O (0.208, 0.021, 0.304)
O (0.042, 0.835, 0.413)
O (0.314, 0.473, 0.471)
O (0.176, 0.210, 0.413)
O (0.835, 0.018, 0.093)
O (0.151, 0.651, 0.074)
O (0.525, 0.685, 0.971)
O (0.495, 0.371, 0.420)
O (0.166, 0.685, 0.473)
O (0.349, 0.849, 0.574)
O (0.988, 0.824, 0.095)
O (0.487, 0.114, 0.636)
O (0.798, 0.831, 0.194)
O (0.628, 0.505, 0.920)
O (0.031, 0.831, 0.694)
O (0.032, 0.204, 0.914)
O (0.449, 0.152, 0.528)
O (0.700, 0.550, 0.528)
O (0.708, 0.155, 0.030)
O (0.208, 0.183, 0.806)
O (0.178, 0.482, 0.257)
O (0.847, 0.525, 0.743)
O (0.033, 0.207, 0.192)
O (0.341, 0.497, 0.074)
O (0.157, 0.500, 0.572)
O (0.793, 0.966, 0.692)
O (0.165, 0.204, 0.695)
O (0.626, 0.129, 0.420)
O (0.179, 0.015, 0.594)
O (0.974, 0.793, 0.806)
O (0.825, 0.028, 0.804)
O (0.144, 0.642, 0.359)
O (0.844, 0.314, 0.244)
O (0.175, 0.970, 0.196)
O (0.870, 0.502, 0.420)
O (0.689, 0.159, 0.743)
O (0.982, 0.180, 0.304)
O (0.450, 0.298, 0.028)
O (0.358, 0.858, 0.859)
O (0.816, 0.791, 0.305)
O (0.871, 0.374, 0.920)
O (0.844, 0.293, 0.531)
O (0.499, 0.132, 0.921)
O (0.893, 0.371, 0.640)
O (0.886, 0.513, 0.136)
O (0.679, 0.526, 0.243)
O (0.506, 0.645, 0.862)
O (0.518, 0.698, 0.258)
O (0.523, 0.837, 0.475)
O (0.167, 0.961, 0.914)
O (0.302, 0.831, 0.255)
O (0.177, 0.168, 0.093)
O (0.484, 0.368, 0.138)
O (0.173, 0.692, 0.756)
O (0.473, 0.317, 0.744)
O (0.500, 0.842, 0.072)
O (0.502, 0.659, 0.573)
O (0.787, 0.825, 0.914)
O (0.793, 0.966, 0.415)
O (0.316, 0.835, 0.973)
O (0.145, 0.497, 0.858)
Na (0.028, 0.334, 0.083)
Na (0.008, 0.995, 0.504)
Na (0.006, 0.993, 0.004)
Na (0.000, 0.363, 0.752)
Na (0.334, 0.667, 0.666)
Na (0.344, 0.672, 0.167)
Na (0.656, 0.327, 0.834)
Na (0.668, 0.974, 0.584)
Na (0.678, 0.337, 0.333)
P (0.703, 0.986, 0.749)
P (0.013, 0.297, 0.249)
P (0.700, 0.715, 0.248)
P (0.977, 0.336, 0.584)
P (0.662, 0.024, 0.083)
P (0.334, 0.939, 0.917)
P (0.010, 0.718, 0.749)
P (0.972, 0.644, 0.083)
P (0.063, 0.667, 0.416)
P (0.666, 0.638, 0.582)
P (0.363, 0.333, 0.083)
P (0.358, 0.029, 0.582)
P (0.287, 0.296, 0.749)
P (0.601, 0.939, 0.417)
P (0.059, 0.395, 0.917)
Al (0.332, 0.675, 0.812)
Al (0.332, 0.665, 0.313)
Al (0.003, 0.998, 0.649)
Al (0.329, 0.670, 0.520)
Al (0.330, 0.670, 0.020)
Al (0.990, 0.998, 0.148)
Zr (0.670, 0.337, 0.185)
Zr (0.662, 0.335, 0.684)
Zr (0.987, 0.991, 0.357)
Zr (0.666, 0.329, 0.980)
Zr (0.673, 0.334, 0.480)
Zr (0.006, 0.003, 0.856)
S (0.606, 0.665, 0.917)
S (0.283, 0.990, 0.249)
S (0.335, 0.392, 0.416)

Calculated values
ΔH_f (0 K): -2.93 eV/atom
Theoretical density: 3.0 Mg/m³

~~~~~

# 1
A plane-wave DFT calculation with PBE was carried out for a relaxed structure of K5TaTl2As4.

```
data_K5TaTl2As4
_cell_length_a 18.940
_cell_length_b 10.793
_cell_length_c 7.805
_cell_angle_alpha 90.00
_cell_angle_beta 90.00
_cell_angle_gamma 90.00
_symmetry_space_group_name_H-M 'P n m a'
_symmetry_Int_Tables_number 62
loop_
_symmetry_equiv_pos_as_xyz
'x,y,z'
'-x,-y,-z'
'-x+1/2,-y,z+1/2'
'x+1/2,y,-z+1/2'
'x+1/2,-y+1/2,-z+1/2'
'-x+1/2,y+1/2,z+1/2'
'-x,y+1/2,-z'
'x,-y+1/2,z'
loop_
_atom_site_label
_atom_site_fract_x
_atom_site_fract_y
_atom_site_fract_z
K1 0.021 0.250 0.106
K2 0.078 0.025 0.693
K3 0.248 0.555 0.478
Ta1 0.163 0.750 0.084
Tl1 0.051 0.750 0.426
Tl2 0.182 0.250 0.319
As1 0.101 0.561 0.197
As2 0.163 0.750 0.763
As3 0.208 0.250 0.671
```

Computed properties:
Total energy in eV/atom: -3.850

# 2
A plane-wave DFT calculation with PBE was carried out for a relaxed structure of K2Te2As.

```
data_K2Te2As
_cell_length_a 20.494
_cell_length_b 8.368
_cell_length_c 9.223
_cell_angle_alpha 90.00
_cell_angle_beta 90.00
_cell_angle_gamma 90.00
_symmetry_space_group_name_H-M 'P n m a'
-- stop --
Done:
A plane-wave DFT calculation with PBE was carried out for a relaxed structure of K5TaTl2As4.
A plane-wave DFT calculation with PBE was carried out for a relaxed structure of K2Te2As.